The reader should say how many lines of the calculation results further down hold the word "parameters", as a bare number.

+++
Compound: CuB5
Source: the Materials Project
Functional: PBE-GGA
Structure: relaxed

Electronic total energy: -5.83 eV per atom
E_form: 0.416 eV per atom

Lattice parameters (Å, degrees): 5.5561 13.3995 11.6960 90.00 90.00 90.00
Space group Pbca (No. 61)
One atom of each set of equivalent atoms:
Cu 0.2383 0.2350 0.1981 x8
Cu 0.2494 0.5453 0.1871 x8
B 0.0173 0.1308 0.0833 x8
B 0.0403 0.0824 0.4254 x8
B 0.0549 0.5760 0.5547 x8
B 0.0980 0.7054 0.5304 x8
B 0.0984 0.7441 0.3821 x8
B 0.1173 0.2111 0.4341 x8
B 0.1315 0.1490 0.5742 x8
B 0.1469 0.0223 0.5402 x8
B 0.1477 0.5226 0.4142 x8
B 0.2472 0.6293 0.3311 x8

---

Compound: CuB5
Source: the Materials Project
Functional: PBE-GGA
Structure: relaxed

Electronic total energy: -5.86 eV per atom
E_form: 0.385 eV per atom

Lattice parameters (Å, degrees): 5.8064 13.7679 10.8821 90.00 90.00 90.00
Space group Pbca (No. 61)
One atom of each set of equivalent atoms:
Cu 0.2277 0.0034 0.2214 x8
Cu 0.2496 0.2487 0.2089 x8
B 0.0164 0.6064 0.9420 x8
B 0.0173 0.1057 0.9391 x8
B 0.0895 0.2240 0.8806 x8
B 0.0904 0.7244 0.8821 x8
B 0.0909 0.1991 0.0422 x8
B 0.0924 0.6995 0.0436 x8
B 0.2474 0.6217 0.8320 x8
B 0.2485 0.0784 0.0492 x8
B 0.2494 0.0537 0.5431 x8
B 0.2486 0.5211 0.9123 x8

---

Compound: Dy2CuB8O16
Source: the Materials Project
Functional: PBE-GGA
Structure: relaxed

Electronic total energy: -7.94 eV per atom
E_form: -2.946 eV per atom
E (MP2020): -450.9 eV for the cell shown

Lattice parameters (Å, degrees): 10.2688 8.4904 6.2635 90.00 90.31 90.00
Space group P2_1/c (No. 14)
One atom of each set of equivalent atoms:
Dy 0.1821 0.0063 0.4954 x4
Cu 0.5000 0.0000 0.5000 x2
B 0.9999 0.1823 0.8873 x4
B 0.1937 0.0036 0.9944 x4
B 0.3733 0.6933 0.3795 x4
B 0.3815 0.1908 0.1158 x4
O 0.0070 0.6634 0.0605 x4
O 0.1099 0.5871 0.6418 x4
O 0.1213 0.1111 0.8482 x4
O 0.2657 0.5953 0.3431 x4
O 0.2753 0.0908 0.1482 x4
O 0.3568 0.6549 0.9372 x4
O 0.3625 0.1574 0.5590 x4
O 0.4956 0.6258 0.3501 x4

---

Compound: LiCu2BP2H2O10
Source: the Materials Project
Functional: PBE-GGA
Structure: relaxed

Electronic total energy: -6.37 eV per atom
E_form: -2.089 eV per atom
E (MP2020): -485.9 eV for the cell shown

Lattice parameters (Å, degrees): 15.5779 4.8277 9.7964 90.00 92.21 90.00
Space group C2/c (No. 15)
One atom of each set of equivalent atoms:
Li 0.2500 0.2500 0.0000 x4
Cu 0.1465 0.2074 0.7304 x8
B 0.0000 0.2178 0.2500 x4
P 0.1426 0.3189 0.4115 x8
H 0.0742 0.1564 0.0889 x8
O 0.0523 0.3970 0.3424 x8
O 0.0531 0.0407 0.1626 x8
O 0.1464 0.4214 0.5602 x8
O 0.1581 0.0033 0.4035 x8
O 0.2099 0.4910 0.3336 x8

---

Compound: LiCu2BP2H2O10
Source: the Materials Project
Functional: PBE-GGA
Structure: relaxed

Electronic total energy: -6.38 eV per atom
E_form: -2.104 eV per atom
E (MP2020): -487.0 eV for the cell shown

Lattice parameters (Å, degrees): 5.4362 8.0295 17.6534 90.00 90.00 90.00
Space group P2_12_12_1 (No. 19)
One atom of each set of equivalent atoms:
Li 0.2404 0.1289 0.4540 x4
Cu 0.0317 0.8228 0.1576 x4
Cu 0.0439 0.1717 0.0176 x4
B 0.2190 0.4165 0.7642 x4
P 0.0667 0.4947 0.9067 x4
P 0.2464 0.5370 0.6185 x4
H 0.0464 0.1308 0.1805 x4
H 0.1209 0.1634 0.7606 x4
O 0.0187 0.5194 0.5661 x4
O 0.0282 0.4343 0.8224 x4
O 0.0301 0.5375 0.2911 x4
O 0.0684 0.6071 0.1062 x4
O 0.1269 0.2923 0.1089 x4
O 0.1466 0.5326 0.7028 x4
O 0.1860 0.0345 0.5591 x4
O 0.1934 0.3492 0.9504 x4
O 0.2300 0.2445 0.7361 x4
O 0.2370 0.6498 0.9069 x4

---

Compound: Cu3B6H2O13
Source: the Materials Project
Functional: PBE-GGA
Structure: relaxed

Electronic total energy: -6.90 eV per atom
E_form: -2.128 eV per atom
E (MP2020): -1396.4 eV for the cell shown

Lattice parameters (Å, degrees): 16.3095 16.6979 5.6905 90.00 90.00 90.00
Space group Fdd2 (No. 43)
One atom of each set of equivalent atoms:
Cu 0.0000 0.0000 0.0000 x8
Cu 0.0891 0.1709 0.6111 x16
B 0.0177 0.3321 0.6796 x16
B 0.0835 0.2703 0.0396 x16
B 0.1224 0.3770 0.3596 x16
H 0.0224 0.0432 0.4730 x16
O 0.0000 0.0000 0.3780 x8
O 0.0022 0.2489 0.6065 x16
O 0.0420 0.3846 0.4785 x16
+++

6